Personal data

Name: Zoltán Gábor Szűcs
Date of birth: 9 November 1979.
Place of birth: Budapest
Citizenship: Hungarian
- 2003: 2nd prize at Classical Hungarian Literature Section of 26th National Student Circle Conference, topic: "Kazinczy's role in the history of interpretations of GáborDayka's poetry", supervisor: István Margócsy associated professor
Between two parts of the piece: data records:
For HfGa3Ir, a crystal structure in Alexandria, relaxed with PBE gives the theoretical XRD peak list in this record (copper Kα).
Lines closer than 0.1° are merged.

Structural model:
Cell lengths 4.263, 6.315, 6.588 Å; angles 90.00, 90.00, 90.00 degrees
Fractional coordinates of all 10 atoms:
1 Hf 0.250 0.250 0.177
2 Hf 0.750 0.750 0.823
3 Ga 0.250 0.037 0.784
4 Ga 0.250 0.463 0.784
5 Ga 0.250 0.750 0.484
6 Ga 0.750 0.250 0.516
7 Ga 0.750 0.537 0.216
8 Ga 0.750 0.963 0.216
9 Ir 0.250 0.750 0.099
10 Ir 0.750 0.250 0.901

Principal peaks in the range 10 to 80 degrees two-theta, by angle:
- 2θ = 13.44°, I = 67, (0 0 1)
- 2θ = 28.26°, I = 31, (0 2 0)
- 2θ = 34.41°, I = 24, (1 0 2)
- 2θ = 37.32°, I = 47, (1 1 2)
- 2θ = 38.00°, I = 100, (1 2 1)
- 2θ = 41.10°, I = 18, (0 0 3)
- 2θ = 42.41°, I = 39, (2 0 0)
- 2θ = 45.11°, I = 49, (1 2 2)

For Hf6Ga3Ir, a crystal structure in Alexandria, relaxed with PBE gives the theoretical XRD peak list in this record (copper Kα).
Lines closer than 0.1° are merged.

Structural model:
Cell lengths 5.361, 7.728, 11.153 Å; angles 90.00, 117.69, 90.00 degrees
Fractional coordinates of all 20 atoms:
1 Hf 0.014 0.168 0.426
2 Hf 0.014 0.332 0.926
3 Hf 0.337 0.677 0.426
4 Hf 0.337 0.823 0.926
5 Hf 0.395 0.033 0.253
6 Hf 0.395 0.467 0.753
7 Hf 0.605 0.533 0.247
8 Hf 0.605 0.967 0.747
9 Hf 0.663 0.177 0.074
10 Hf 0.663 0.323 0.574
11 Hf 0.986 0.668 0.074
12 Hf 0.986 0.832 0.574
13 Ga 0.000 0.000 0.000
14 Ga 0.000 0.500 0.500
15 Ga 0.150 0.127 0.757
16 Ga 0.150 0.373 0.257
17 Ga 0.850 0.627 0.743
18 Ga 0.850 0.873 0.243
19 Ir 0.500 0.000 0.500
20 Ir 0.500 0.500 0.000

Principal peaks in the range 10 to 80 degrees two-theta, by angle:
- 2θ = 29.81°, I = 31, (1 2 0)
- 2θ = 33.74°, I = 65, (1 1 2)
- 2θ = 34.25°, I = 46, (1 1 -4)
- 2θ = 35.45°, I = 28, (2 1 -2)
- 2θ = 35.84°, I = 33, (0 2 3)
- 2θ = 36.46°, I = 60, (2 1 -1)
- 2θ = 38.79°, I = 100, (1 3 -1)
- 2θ = 43.50°, I = 28, (0 2 4)

For LaHf3Ga, a crystal structure in Alexandria, relaxed with PBE gives the theoretical XRD peak list in this record (copper Kα).
Lines closer than 0.1° are merged.

Structural model:
Cell lengths 5.124, 5.124, 5.124 Å; angles 90.00, 90.00, 90.00 degrees
Fractional coordinates of all 5 atoms:
1 La 0.000 0.000 0.000
2 Hf 0.000 0.500 0.500
3 Hf 0.500 0.000 0.500
4 Hf 0.500 0.500 0.000
5 Ga 0.500 0.500 0.500

Principal peaks in the range 10 to 80 degrees two-theta, by angle:
- 2θ = 17.31°, I = 10, (1 0 0)
- 2θ = 30.21°, I = 100, (1 1 1)
- 2θ = 35.03°, I = 79, (2 0 0)
- 2θ = 39.32°, I = 5, (2 1 0)
- 2θ = 50.38°, I = 57, (2 2 0)
- 2θ = 59.87°, I = 44, (3 1 1)
- 2θ = 62.83°, I = 20, (2 2 2)
- 2θ = 74.01°, I = 9, (4 0 0)

Question: Number 3 is which compound?
Answer: LaHf3Ga

Question: Which formula does entry 1 have?
Answer: HfGa3Ir
- 2004- PhD student at Political Science Doctoral School at Eötvös Loránd University, Faculty of Law, supervisor: Prof. Márton Szabó, topic: "The role of national history in Hungarian political discourse after the democratic transition"
- 1998-2004: MA in Hungarian language and Literature at Eötvös Loránd University, Faculty of Humanities, thesis: "Grounding Dayka discourse"
- 1994-1998: Apáczai Secondary Training School of Eötvös University
Language skills
- English: degree of intermediate level
- Russian: degree of intermediate level
- Latin: reading
- German: reading
- 2003: library information in Apáczai Secondary School
Educational experience
- Fall 2006: History of political ideas - reading seminar, Eötvös Loránd University, Faculty of Law
- Fall and Spring 2006: "Return of history - Debates on political legitimizing the democratic transition (1989-1990) - seminar, Eötvös Loránd University, Faculty of Law
- Spring 2005: History and politics in Hungary in the 1980s - seminar, Eötvös Loránd University, Faculty of Law
- Spring 2005: "The politics of time" seminar at Social Theory College of Corvinus University
Research specialization
- political discourse studies
- history of political discourse
Kutatási támogatás & kutatási együttműködés
- 2005-2006: Miklós Szabó Scholarship, topic: "A critical approach to intellectual history of new conservatism in Hungary"
- Fall 2005: Erasmus Fellowship at University of Jyväskylä
- August 2005: two weeks at University of Essex, 38th Summer School in Social Sciences (courses: The Politics of Time: Narrative Theory and Discourse Analysis and Rhetoric and Discourse Analysis) financed by ECPR Scholarship Fund and its Mobility Fund
- 2003-2004: scholarship in political science of Erasmus College politikatudományi témában, project: "The pre-1945 national history in political discourse during the Fidesz-regime (1998-2002), supervisor: Prof. András Bozóki, tutor: Balázs Trencsényi
- 1999-2001: sholarships of Student Union of Eötvös Loránd University (three times)
- 1998-2000: member of Eötvös Collegium
Professional activity
- Fall 2006: organizator of 1st Annual Professional Meetings of Political Science Doctoral School at Eötvös Loránd University, Faculty of Law.
- October 2005: co-organizator Attila József Circle's Annual Professional Meetings
- 2005: co-editor of postmodern political sciences series of L'Harmattan Publishing House
- 2005: member of the presidium of Hungarian Association of Political Science
- 2005: president of Discourse Theory Department of Hungarian Association of Political Science
- 2005: member of of Hungarian Association of Political Science
- 21-22 November 2002: co-organizator of a conference on classical Hungarian literature.
- 11-12 April 2002: co-organizator of a conference on Kertész Imre's works
- 2002-2003: secretary of Hungarian Literary Student Circle at Eötvös Loránd University, Faculty of Humanities
- 2000-2004: editor of a cultural journal entitled Huszonegy
- 2001-2003: chief secretary of Gábor Dayka Society
- 2000-2001: president of Gábor Dayka Society.
Conference presentations in Hungarian and English
- 2 September 2006: Paper: "What does 'people' mean? The traditions and horizons of a political concept in the context of the Hungarian democratic transition.", On Politics: Rhetoric, Discourse and Concepts: A seminar with Finnish and Hungarian political scientists, historians and students, Collegium Budapest.
- 24 June 2006: Paper: "A kormányzás eltérő értelmezései az 1990-es önkormányzati törvény vitájában" [Contesting interpretations of governance in the debate on Local Governments Law] Annual Conference of Hungarian Association of Political Science, Noszvaj.
- 27 April 2006: Paper: "Redescribing statehood and revolution", An International Doctoral Course on Conceptual Struggles on Suffrage, Voting, Elections, Parliament and Citizenship, Berlin.
- 14 October 2005: Paper: "Újkonzervatív forradalom. A nyelvi innováció stratégiája az 1998-as kormányprogram vitájában"[A new conservative revolution. Linguistic innovation in the debate on the cabinet's program] FIDESZREALITY. Conference of Cepods. Budapest.
- 9 September 2005: Paper: "Pop-cult, politics, national history. The case of a rock opera" ECPR 2005 Conference in Budapest, Art and Politics section.
- 2-3 July 2005: Paper: "Történelem és politika az "István a király"-ban"[Pop-cult, politics, national history. The case of a rock opera] Annual Conference of Erasmus College, House of Professors, Budapest.
- 24-25 June 2005: Paper: "Jászi és Szekfű: Polgári radikalizmus és konzervativizmus közös eszmetörténeti forrásai" [Jászi and Szekfű: Common sources of civic radicalism and conservatism]" Annual Conference of Hungarian Association of Political Science, Siófok.
Publications in English (working paper)
- Politics of Time: Questions of Political Conceptualisation of History. In Márton Szabó - Zoltán Gábor Szűcs: Discourse and Politics: Two essays in Political Discourse Studies. Műhelytanulmányok. Digitális Archívum. Budapest: MTA Politikatudományi Intézet. 2006. 4. 14-25. p.
Latest publications in Hungarian
- Újkonzervatív forradalom: A nyelvi innováció stratégiája az 1998-as kormányprogram vitájában. [A new conservative revolution. Linguistic innovation in the debate on the cabinet's program in 1998] In: Szabó Márton (ed.) Fidesz-valóság: Diszkurzív politikatudományi elemzések a Fideszről. [Fidesz-reality:Discourse approaches to Fidesz] Budapest: L'Harmattan. 2006. 99-128. p.